Excerpt >
<<<
Here is a relaxed structure of B7C from Alexandria via LeMat-Bulk. Energies are from GGA-PBE.

a = 2.3229 Å, b = 2.3229 Å, c = 10.1749 Å
α = 90.00°, β = 90.00°, γ = 90.00°
Last column: nearest neighbours and their distance in Å.
Fractional coordinates of all 8 atoms:
B (0.0000, 0.0000, 0.0000)  4 B 1.77
B (0.0000, 0.5000, 0.3916)  2 C 1.60, 2 B 1.77
B (0.0000, 0.5000, 0.8689)  4 B 1.75-1.77
B (0.5000, 0.0000, 0.1311)  4 B 1.75-1.77
B (0.5000, 0.0000, 0.6084)  2 C 1.60, 2 B 1.77
B (0.5000, 0.5000, 0.2601)  4 B 1.75-1.77
B (0.5000, 0.5000, 0.7399)  4 B 1.75-1.77
C (0.0000, 0.0000, 0.5000)  4 B 1.60

**Excess energy over the best structure of this formula in the dataset**: 0.0989 eV per atom
**Energy of formation**: 429 meV per atom
**V**: 6.9 Å³/atom
**Fermi-level density of states**: 0.87 states/eV/cell
**E_tot**: -52.5 eV for the cell shown

Here is a relaxed structure of BC from Alexandria via LeMat-Bulk. Energies are from GGA-PBE.

a = 4.7046 Å, b = 2.6121 Å, c = 6.6829 Å
α = 90.00°, β = 91.13°, γ = 90.00°
Last column: nearest neighbours and their distance in Å.
Fractional coordinates of all 12 atoms:
B (0.0000, 0.0000, 0.0000)  3 C 1.55-1.57
B (0.0891, 0.5000, 0.6459)  4 C 1.63-1.68
B (0.2703, 0.0000, 0.3123)  4 C 1.63-1.70
B (0.4037, 0.5000, 0.9984)  2 C 1.59-1.65
B (0.5681, 0.0000, 0.8583)  1 C 1.59
B (0.7619, 0.5000, 0.3097)  4 C 1.57-1.71
C (0.0854, 0.5000, 0.8914)  4 B 1.55-1.65
C (0.2829, 0.0000, 0.5665)  1 C 1.54, 3 B 1.68-1.70
C (0.4438, 0.5000, 0.2345)  4 B 1.57-1.63
C (0.6017, 0.0000, 0.6217)  3 C 1.54-1.56, 1 B 1.59
C (0.7609, 0.5000, 0.5651)  2 C 1.56, 2 B 1.63-1.71
C (0.9417, 0.0000, 0.2306)  4 B 1.57-1.65

**Excess energy over the best structure of this formula in the dataset**: 0.2684 eV per atom
**Energy of formation**: 419 meV per atom
**V**: 6.8 Å³/atom
**Fermi-level density of states**: 3.18 states/eV/cell
**E_tot**: -90.4 eV for the cell shown

Here is a relaxed structure of BC from Alexandria via LeMat-Bulk. Energies are from GGA-PBE.

a = 3.5407 Å, b = 2.6571 Å, c = 8.2740 Å
α = 90.00°, β = 98.87°, γ = 90.00°
Last column: nearest neighbours and their distance in Å.
Fractional coordinates of all 12 atoms:
B (0.0106, 0.0000, 0.1060)  1 C 1.59, 3 B 1.74-1.76
B (0.2831, 0.5000, 0.0442)  4 B 1.76-1.91
B (0.4441, 0.5000, 0.7384)  3 C 1.60-1.66
B (0.5559, 0.5000, 0.2616)  3 C 1.60-1.66
B (0.7169, 0.5000, 0.9558)  4 B 1.76-1.91
B (0.9894, 0.0000, 0.8940)  1 C 1.59, 3 B 1.74-1.76
C (0.1022, 0.0000, 0.4203)  4 C 1.53-1.60
C (0.1921, 0.0000, 0.7355)  1 C 1.53, 3 B 1.59-1.60
C (0.3440, 0.5000, 0.4268)  3 C 1.51-1.58, 1 B 1.66
C (0.6560, 0.5000, 0.5732)  3 C 1.51-1.58, 1 B 1.66
C (0.8079, 0.0000, 0.2645)  1 C 1.53, 3 B 1.59-1.60
C (0.8978, 0.0000, 0.5797)  4 C 1.53-1.60

**Excess energy over the best structure of this formula in the dataset**: 0.2329 eV per atom
**Energy of formation**: 384 meV per atom
**V**: 6.4 Å³/atom
**Fermi-level density of states**: 2.14 states/eV/cell
**E_tot**: -90.8 eV for the cell shown

Here is a relaxed structure of BC from Alexandria via LeMat-Bulk. Energies are from GGA-PBE.

a = 4.1885 Å, b = 4.3342 Å, c = 5.0633 Å
α = 107.49°, β = 104.46°, γ = 107.12°
Last column: nearest neighbours and their distance in Å.
Fractional coordinates of all 12 atoms:
B (0.0000, 0.0000, 0.0000)  2 C 1.59, 1 B 1.73
B (0.0014, 0.3453, 0.8686)  2 C 1.63-1.68, 1 B 1.81
B (0.3017, 0.0549, 0.8224)  3 C 1.60-1.74, 1 B 1.73
B (0.4712, 0.8254, 0.3288)  2 C 1.64-1.70
B (0.5168, 0.4908, 0.4990)  3 C 1.59-1.63
B (0.8374, 0.2591, 0.4503)  2 C 1.56-1.70
C (0.1349, 0.1687, 0.3532)  1 C 1.56, 3 B 1.56-1.59
C (0.1659, 0.8776, 0.4657)  2 C 1.54-1.56, 2 B 1.60-1.64
C (0.3277, 0.7357, 0.9575)  1 C 1.54, 2 B 1.68-1.70
C (0.6261, 0.6672, 0.8546)  2 C 1.54-1.56, 2 B 1.59-1.61
C (0.6800, 0.3921, 0.9806)  2 C 1.56, 2 B 1.61-1.63
C (0.7905, 0.5714, 0.3244)  2 C 1.54-1.56, 2 B 1.63-1.70

**Excess energy over the best structure of this formula in the dataset**: 0.2357 eV per atom
**Energy of formation**: 387 meV per atom
>>>

Wanted >
Transcribe all of the contents above character by character, please.

Here it is >
Here is a relaxed structure of B7C from Alexandria via LeMat-Bulk. Energies are from GGA-PBE.

a = 2.3229 Å, b = 2.3229 Å, c = 10.1749 Å
α = 90.00°, β = 90.00°, γ = 90.00°
Last column: nearest neighbours and their distance in Å.
Fractional coordinates of all 8 atoms:
B (0.0000, 0.0000, 0.0000)  4 B 1.77
B (0.0000, 0.5000, 0.3916)  2 C 1.60, 2 B 1.77
B (0.0000, 0.5000, 0.8689)  4 B 1.75-1.77
B (0.5000, 0.0000, 0.1311)  4 B 1.75-1.77
B (0.5000, 0.0000, 0.6084)  2 C 1.60, 2 B 1.77
B (0.5000, 0.5000, 0.2601)  4 B 1.75-1.77
B (0.5000, 0.5000, 0.7399)  4 B 1.75-1.77
C (0.0000, 0.0000, 0.5000)  4 B 1.60

**Excess energy over the best structure of this formula in the dataset**: 0.0989 eV per atom
**Energy of formation**: 429 meV per atom
**V**: 6.9 Å³/atom
**Fermi-level density of states**: 0.87 states/eV/cell
**E_tot**: -52.5 eV for the cell shown

Here is a relaxed structure of BC from Alexandria via LeMat-Bulk. Energies are from GGA-PBE.

a = 4.7046 Å, b = 2.6121 Å, c = 6.6829 Å
α = 90.00°, β = 91.13°, γ = 90.00°
Last column: nearest neighbours and their distance in Å.
Fractional coordinates of all 12 atoms:
B (0.0000, 0.0000, 0.0000)  3 C 1.55-1.57
B (0.0891, 0.5000, 0.6459)  4 C 1.63-1.68
B (0.2703, 0.0000, 0.3123)  4 C 1.63-1.70
B (0.4037, 0.5000, 0.9984)  2 C 1.59-1.65
B (0.5681, 0.0000, 0.8583)  1 C 1.59
B (0.7619, 0.5000, 0.3097)  4 C 1.57-1.71
C (0.0854, 0.5000, 0.8914)  4 B 1.55-1.65
C (0.2829, 0.0000, 0.5665)  1 C 1.54, 3 B 1.68-1.70
C (0.4438, 0.5000, 0.2345)  4 B 1.57-1.63
C (0.6017, 0.0000, 0.6217)  3 C 1.54-1.56, 1 B 1.59
C (0.7609, 0.5000, 0.5651)  2 C 1.56, 2 B 1.63-1.71
C (0.9417, 0.0000, 0.2306)  4 B 1.57-1.65

**Excess energy over the best structure of this formula in the dataset**: 0.2684 eV per atom
**Energy of formation**: 419 meV per atom
**V**: 6.8 Å³/atom
**Fermi-level density of states**: 3.18 states/eV/cell
**E_tot**: -90.4 eV for the cell shown

Here is a relaxed structure of BC from Alexandria via LeMat-Bulk. Energies are from GGA-PBE.

a = 3.5407 Å, b = 2.6571 Å, c = 8.2740 Å
α = 90.00°, β = 98.87°, γ = 90.00°
Last column: nearest neighbours and their distance in Å.
Fractional coordinates of all 12 atoms:
B (0.0106, 0.0000, 0.1060)  1 C 1.59, 3 B 1.74-1.76
B (0.2831, 0.5000, 0.0442)  4 B 1.76-1.91
B (0.4441, 0.5000, 0.7384)  3 C 1.60-1.66
B (0.5559, 0.5000, 0.2616)  3 C 1.60-1.66
B (0.7169, 0.5000, 0.9558)  4 B 1.76-1.91
B (0.9894, 0.0000, 0.8940)  1 C 1.59, 3 B 1.74-1.76
C (0.1022, 0.0000, 0.4203)  4 C 1.53-1.60
C (0.1921, 0.0000, 0.7355)  1 C 1.53, 3 B 1.59-1.60
C (0.3440, 0.5000, 0.4268)  3 C 1.51-1.58, 1 B 1.66
C (0.6560, 0.5000, 0.5732)  3 C 1.51-1.58, 1 B 1.66
C (0.8079, 0.0000, 0.2645)  1 C 1.53, 3 B 1.59-1.60
C (0.8978, 0.0000, 0.5797)  4 C 1.53-1.60

**Excess energy over the best structure of this formula in the dataset**: 0.2329 eV per atom
**Energy of formation**: 384 meV per atom
**V**: 6.4 Å³/atom
**Fermi-level density of states**: 2.14 states/eV/cell
**E_tot**: -90.8 eV for the cell shown

Here is a relaxed structure of BC from Alexandria via LeMat-Bulk. Energies are from GGA-PBE.

a = 4.1885 Å, b = 4.3342 Å, c = 5.0633 Å
α = 107.49°, β = 104.46°, γ = 107.12°
Last column: nearest neighbours and their distance in Å.
Fractional coordinates of all 12 atoms:
B (0.0000, 0.0000, 0.0000)  2 C 1.59, 1 B 1.73
B (0.0014, 0.3453, 0.8686)  2 C 1.63-1.68, 1 B 1.81
B (0.3017, 0.0549, 0.8224)  3 C 1.60-1.74, 1 B 1.73
B (0.4712, 0.8254, 0.3288)  2 C 1.64-1.70
B (0.5168, 0.4908, 0.4990)  3 C 1.59-1.63
B (0.8374, 0.2591, 0.4503)  2 C 1.56-1.70
C (0.1349, 0.1687, 0.3532)  1 C 1.56, 3 B 1.56-1.59
C (0.1659, 0.8776, 0.4657)  2 C 1.54-1.56, 2 B 1.60-1.64
C (0.3277, 0.7357, 0.9575)  1 C 1.54, 2 B 1.68-1.70
C (0.6261, 0.6672, 0.8546)  2 C 1.54-1.56, 2 B 1.59-1.61
C (0.6800, 0.3921, 0.9806)  2 C 1.56, 2 B 1.61-1.63
C (0.7905, 0.5714, 0.3244)  2 C 1.54-1.56, 2 B 1.63-1.70

**Excess energy over the best structure of this formula in the dataset**: 0.2357 eV per atom
**Energy of formation**: 387 meV per atom